Reading Progress:

What I Learned About Gratitude from Namchak Khen Rinpoche

I love the lightbulb moments at retreats. Ya’ know that moment where everyone nods together and starts writing down what the teacher said? If you’ve been to a Namchak retreat, or probably any type of class, you know that moment. The simultaneous group smile like, “That is exactly what we needed to hear!”

I experienced a few of those moments at the past few weekend retreats with Khen Rinpoche. One of my favorite quotes was, “Other living beings are just as important as the dharma. If we feel grateful for the dharma we should be just as grateful for others. They are necessary parts of the path.”

Let that sink in for a moment.

We need others in order to learn and integrate the dharma. We can sit in a room and learn about compassion forever, but if we don’t have other people to be compassionate to, we will never get to exercise or expand that capacity. That goes for any capacity, like patience or even love. Without experiencing troubling people or situations, we will not learn patience. Without other living beings to love, we will not fully experience love. The integration of these virtues begins on the cushion but must be practiced in daily life. As long as a person or situation continues to trouble us or stir up our minds, we know there is more for us to learn. Speaking for myself, it seems that until I truly learn something, I find myself faced with similar “learning opportunities” again and again.

Call to action! For most of us, the holidays bring numerous “learning opportunities:” The family gatherings, group activities, planning and agendas all provide lots of opportunities for expectations to go awry and communications to become mishaps. This holiday season, or anytime, if we notice a troubling person or situation, maybe we can take a moment to acknowledge what we are feeling and experiencing, then express gratitude. It might sound idealistic that in a tense moment we should stop and say, “Thank you so much for this learning opportunity!” We don’t need to say it aloud in the situation or to the other person’s face, but we can try to identify what we need to learn then and acknowledge gratitude for the opportunity to learn it.

Ultimately those difficult learning opportunities give us a chance to ease our suffering and increase our joy. I am grateful that our suffering isn’t absolute and that life is filled with chances to lessen our suffering if we choose to use the opportunities we are given. If you are feeling a sense of dread or anxiety about the stress that the holidays can bring, Khen Rinpoche’s words may bring some comfort: “When we look at others, we should look at them with love and speak with gentleness. It is through our relationships with others that we free ourselves from suffering.”

Between two parts of the page: records of crystals.
=====
P:
{"formula": "DyP2O2", "functional": "GGA-PBE", "state": "optimized geometry", "lattice": [[0.0413, -6.6171, -4.2465], [-6.6464, 2.2898, 3.5217], [1.5900, 5.7046, -5.1720]], "species": ["O", "O", "O", "O", "O", "O", "O", "O", "P", "P", "P", "P", "P", "P", "P", "P", "Dy", "Dy", "Dy", "Dy"], "frac_coords": [[0.8723, 0.5227, 0.6504], [0.4719, 0.6223, 0.8496], [0.3777, 0.5281, 0.1504], [0.8723, 0.2219, 0.3496], [0.7781, 0.1277, 0.6504], [0.4773, 0.1277, 0.3496], [0.3777, 0.2273, 0.8496], [0.7727, 0.6223, 0.1504], [0.4873, 0.7753, 0.2880], [0.7627, 0.5507, 0.7880], [0.4873, 0.1993, 0.7120], [0.4493, 0.2373, 0.2120], [0.2247, 0.5127, 0.7120], [0.0253, 0.2373, 0.7880], [0.7627, 0.9747, 0.2120], [0.8007, 0.5127, 0.2880], [0.1250, 0.8750, 0.2500], [0.1250, 0.8750, 0.7500], [0.6250, 0.8750, 0.7500], [0.1250, 0.3750, 0.2500]], "total_magnetization_mub_per_cell": 0.00, "vol_a3_per_atom": 18.3, "sg": "I4_1/amd"}

Q:
{"formula": "DyP2O2", "functional": "GGA-PBE", "state": "optimized geometry", "lattice": [[-4.7169, -7.4736, 0.9343], [-7.5171, 0.0282, -4.7401], [8.5059, 1.7399, -1.8973]], "species": ["O", "O", "O", "O", "O", "O", "O", "O", "Dy", "Dy", "Dy", "Dy", "P", "P", "P", "P", "P", "P", "P", "P"], "frac_coords": [[0.0600, 0.2728, 0.7873], [0.0228, 0.3100, 0.2873], [0.0228, 0.7355, 0.7127], [0.7272, 0.5145, 0.7873], [0.7272, 0.9400, 0.2127], [0.6900, 0.9772, 0.7127], [0.2645, 0.9772, 0.2873], [0.4855, 0.2728, 0.2127], [0.8750, 0.1250, 0.7500], [0.8750, 0.6250, 0.7500], [0.3750, 0.1250, 0.2500], [0.8750, 0.1250, 0.2500], [0.5328, 0.8727, 0.6601], [0.5374, 0.3773, 0.1601], [0.2126, 0.8727, 0.3399], [0.1273, 0.7874, 0.6601], [0.2172, 0.3773, 0.8399], [0.6227, 0.4626, 0.8399], [0.6227, 0.7828, 0.1601], [0.1273, 0.4672, 0.3399]], "total_magnetization_mub_per_cell": 0.00, "vol_a3_per_atom": 17.8, "sg": "I4_1/amd"}

Bottom line: Q, by a margin of 27.0 kJ/mol of atoms.

P:
{"formula": "DyP3O9", "functional": "GGA-PBE", "state": "optimized geometry", "lattice": [[3.4588, 7.2219, 0.0000], [-3.4588, 7.2219, 0.0000], [0.0000, 6.1750, 8.1990]], "species": ["O", "O", "O", "O", "O", "O", "O", "O", "O", "O", "O", "O", "O", "O", "O", "O", "O", "O", "P", "P", "P", "P", "P", "P", "Dy", "Dy"], "frac_coords": [[0.3014, 0.3513, 0.9523], [0.5213, 0.2272, 0.1258], [0.7714, 0.8433, 0.3632], [0.8433, 0.7714, 0.8632], [0.8077, 0.1920, 0.4188], [0.6166, 0.5661, 0.1076], [0.5661, 0.6166, 0.6076], [0.1884, 0.1544, 0.2558], [0.2272, 0.5213, 0.6258], [0.0346, 0.0822, 0.0634], [0.1920, 0.8077, 0.9188], [0.4484, 0.9226, 0.8889], [0.5326, 0.9336, 0.0900], [0.3513, 0.3014, 0.4523], [0.9336, 0.5326, 0.5900], [0.0822, 0.0346, 0.5634], [0.1544, 0.1884, 0.7558], [0.9226, 0.4484, 0.3889], [0.3882, 0.1865, 0.0959], [0.1946, 0.9920, 0.9211], [0.9920, 0.1946, 0.4211], [0.6228, 0.7826, 0.9875], [0.1865, 0.3882, 0.5959], [0.7826, 0.6228, 0.4875], [0.2060, 0.6889, 0.7544], [0.6889, 0.2060, 0.2544]], "vol_a3_per_atom": 15.8, "sg": "Cc"}

Q:
=====

Wishing you all a Happy Learning Opportunity season!

Published on Dec 16 09 : 00 am